Friday, March 14, 2025

County schools superintendent turns away appeal

by Canda HarbaughWestern News
| October 15, 2009 12:00 AM

The Lincoln County Superintendent of Schools ruled last week that he would not hear a Troy School Board trustee’s case against the school district because she failed to file her Notice of Appeal within 30 days of the board’s decisions concerning each of the alleged offenses.

“I am pleased that we didn’t lose,” said Brady Selle, superintendent of Troy schools, “but it doesn’t clarify whether we were determined to be wrong or right.”

Heather McDougall said that she plans to appeal county superintendent Ron Higgins’ decision with the state Office of Public Instruction. McDougall accuses Selle of making purchases without the board’s approval and of not following state law and district policies when bidding for a window replacement project.

A Notice of Appeal must be filed within 30 days of a final decision made by the school board concerning the contested issue, according to the Administrative Rules of Montana, which govern school controversies. McDougall claims that her precise complaint is that there never was a board decision in any of the matters that she brought forth.

“There was never a final decision by the board of trustees because we never voted on anything listed in the Notice of Appeal to Ron Higgins,” McDougall said.

The school district’s attorney filed a motion to dismiss the case last month, citing that none of the alleged offenses occurred within the 30-day timeframe. It also stated that the county superintendent does not have jurisdiction to hear such a case under Montana law, a venue that is usually used for student and parent appeals. 

“… Allegations of discontent or failure to follow board policy… fall outside of the realm of what a county superintendent can hear,” read the school district’s motion to dismiss.

McDougall’s interpretation of the law is that the county superintendent does have jurisdiction over the case because what she is contesting falls within the duties of the trustee, such as conducting fiscal business.

Selle said that school board policy clearly allowed him to make purchases up to $25,000 on behalf of the district without prior approval from the board, and state law allows up to $50,000. The majority of trustees do not have a problem with the policy, he said.

“From local school boards to Congress, decisions are made by the majority of the body,” Selle said. “Though the minority side is disappointed, it is highly unusual for the losing side to make a request to force the majority to change their decision.”

McDougall said her chief objection in the multiple allegations was the bidding process. She showed Selle a rough draft of her appeal a month before filing it, she said, hoping that it would push him to allow the board to change the bidding policy.

She and trustee Darren Coldwell created a new policy, she said, which would require Selle to solicit bids for jobs between $5,000 and $25,000. Jobs over that amount would go through a formal bidding process. When she did not see the policy item on the next agenda, she filed her appeal.

**Attached: molecular data**
........
Entry 1:
C15H17N3O5 | ωB97M-V/def2-TZVPD

Summary:
multiplicity	1
strongest force on any atom	5.898	eV/A
charge	0
energy relative to the best compared isomer or geometry (same formula, charge and spin)	206.1	kcal/mol

Atoms and positions in Å:
1 C -1.854 -0.551 -0.223
2 C -2.079 1.049 -0.744
3 C -0.873 -1.098 -1.248
4 C 0.428 -1.784 -1.016
5 C 1.736 -1.534 -1.188
6 C 0.205 -2.782 -0.076
7 C 1.513 -3.237 0.201
8 C -0.856 -3.405 0.643
9 C 1.765 -4.162 1.231
10 C -0.677 -4.570 1.445
11 C 0.716 -4.874 1.705
12 C 0.152 1.894 0.006
13 C 0.483 2.322 1.532
14 C 1.008 2.597 -0.935
15 C 1.003 4.044 -1.060
16 H -3.599 -1.308 -1.226
17 H -4.094 -0.666 0.444
18 H -1.425 -0.649 0.707
19 H -0.686 -0.473 -2.058
20 H -1.440 -2.026 -1.594
21 H 2.440 -0.724 -1.676
22 H 3.456 -2.804 -0.724
23 H -1.844 -2.843 0.178
24 H 2.823 -4.252 1.817
25 H -1.575 -5.172 1.813
26 H 0.948 -5.489 2.551
27 H -1.441 2.904 -1.019
28 H 0.498 0.784 0.057
29 H 0.913 2.180 -1.972
30 H 2.015 2.128 -0.657
31 H 1.507 3.999 0.987
32 H -1.384 1.736 1.747
33 N -3.187 -1.128 -0.144
34 N 2.411 -2.389 -0.366
35 N -1.295 2.119 -0.202
36 O -2.902 1.284 -1.702
37 O 1.550 2.740 1.963
38 O 0.413 4.562 -2.068
39 O 1.632 4.604 -0.073
40 O -0.524 1.685 2.376

Entry 2:
C32H26N7Rb | ωB97M-V/def2-TZVPD

Summary:
multiplicity	1
strongest force on any atom	0.582	eV/A
charge	0

Atoms and positions in Å:
1 Rb 0.134 -0.372 -0.257
2 C -3.859 5.611 -1.577
3 C -3.066 4.606 -0.786
4 C -2.196 4.995 0.234
5 C -1.432 4.084 0.935
6 C -1.472 2.696 0.664
7 N -0.642 1.771 1.221
8 C -0.192 1.893 2.500
9 C -0.935 2.445 3.570
10 C -0.488 2.409 4.874
11 C 0.733 1.831 5.226
12 C 1.190 1.754 6.658
13 C 1.497 1.315 4.193
14 C 1.059 1.354 2.877
15 N 1.958 0.856 1.873
16 C 2.651 1.608 0.994
17 C 3.477 0.756 0.292
18 C 3.205 -0.512 0.837
19 N 2.285 -0.445 1.790
20 C -2.392 2.326 -0.342
21 C -3.151 3.248 -1.047
22 N -2.607 0.937 -0.642
23 C -3.255 0.053 0.144
24 C -3.342 -1.130 -0.558
25 C -2.710 -0.848 -1.783
26 N -2.266 0.401 -1.826
27 H -4.105 6.484 -0.971
28 H -4.794 5.179 -1.939
29 H -3.303 5.964 -2.450
30 H -2.108 6.049 0.479
31 H -0.752 4.436 1.702
32 H -1.901 2.882 3.348
33 H -1.113 2.836 5.652
34 H 0.813 2.598 7.237
35 H 2.279 1.760 6.725
36 H 0.838 0.840 7.143
37 H 2.467 0.873 4.395
38 H 2.511 2.675 0.954
39 H 4.186 1.017 -0.475
40 H 3.633 -1.467 0.575
41 H -3.825 2.877 -1.811
42 H -3.608 0.342 1.120
43 H -3.815 -2.044 -0.245
44 H -2.553 -1.499 -2.630
45 C 3.150 -1.384 -4.404
46 C 2.392 -0.923 -3.320
47 N 1.668 -1.703 -2.548
48 C 1.652 -3.025 -2.810
49 C 2.378 -3.589 -3.875
50 C 3.140 -2.725 -4.679
51 C 2.329 -5.002 -4.117
52 C 1.591 -5.810 -3.332
53 C 0.836 -5.278 -2.234
54 C 0.059 -6.100 -1.401
55 C -0.641 -5.540 -0.368
56 C -0.553 -4.154 -0.180
57 N 0.164 -3.356 -0.939
58 C 0.857 -3.899 -1.961
59 H 3.723 -0.688 -5.001
60 H 2.384 0.136 -3.080
61 H 3.708 -3.130 -5.508
62 H 2.899 -5.403 -4.946
63 H 1.554 -6.877 -3.514
64 H 0.025 -7.167 -1.587
65 H -1.249 -6.139 0.296
66 H -1.100 -3.685 0.632

Entry 3:
........
**Here the piece continues**

If the state superintendent of public instruction agrees with Higgins’ decision, McDougall would have the option of taking her case all the way to district court.